Why Tim Lincecum Matters


I spent Saturday at AT&T Park watching the Giants play the Oakland A’s. Saturday was a great day. There was this vibe in the ballpark, on the field and in the stands, that gave me a sense that something special was happening. Sure, Ryan Vogelsong and the bullpen threw a 1-hit shutout, but it wasn’t that. It felt like the team was coming together. Even on the ride home listening to KNBR, they were questioning whether the Giants had “turned the corner.” The responses were a bit mixed, but the general consensus was that they were close. Some fans wanted to see a couple sweeps first. Some fans felt that Saturday was the day. Overall though, we’re getting the idea from the fans, from the broadcasters, and from the way the team is playing, that this team has a chemistry that last year’s team didn’t have.

Between two parts of the text: materials data =
(1)
DFT (PBE-GGA) results for a relaxed structure of CeAsRu2C.

The calculation puts the total energy at -8.188 eV per atom. As for the space group: Cmcm (63).

Cell: 5.9635 5.9635 7.2608 Å, 90.00 90.00 141.13°
Closest atoms and distances in Å follow each position.
Fractional positions:
Ce (0.0497, 0.9503, 0.7500)  4 C 2.75
Ce (0.9503, 0.0497, 0.2500)  4 C 2.75
As (0.2280, 0.7720, 0.2500)  6 Ru 2.52-2.55
As (0.7720, 0.2280, 0.7500)  6 Ru 2.52-2.55
Ru (0.3374, 0.6626, 0.5530)  1 C 1.87
Ru (0.3374, 0.6626, 0.9470)  1 C 1.87
Ru (0.6626, 0.3374, 0.0530)  1 C 1.87
Ru (0.6626, 0.3374, 0.4470)  1 C 1.87
C (0.5000, 0.5000, 0.0000)  2 Ru 1.87
C (0.5000, 0.5000, 0.5000)  2 Ru 1.87



(2)
DFT (PBE-GGA) results for a relaxed structure of Ac3La5Sm2.

The calculation puts the total energy at -4.474 eV per atom. As for the space group: C2/c (15).

Cell: 9.4206 9.4206 10.7376 Å, 108.12 108.12 106.35°
Closest atoms and distances in Å follow each position.
Fractional positions:
Ac (0.0116, 0.9884, 0.7500)  3 La 3.31-3.54, 2 Sm 3.60
Ac (0.2226, 0.4746, 0.4455)  1 Sm 3.52, 5 La 3.53-3.73, 1 Ac 3.78
Ac (0.4746, 0.2226, 0.9455)  1 Sm 3.52, 5 La 3.53-3.73, 1 Ac 3.78
Ac (0.5254, 0.7774, 0.0545)  1 Sm 3.52, 5 La 3.53-3.73, 1 Ac 3.78
Ac (0.7774, 0.5254, 0.5545)  1 Sm 3.52, 5 La 3.53-3.73, 1 Ac 3.78
Ac (0.9884, 0.0116, 0.2500)  3 La 3.31-3.54, 2 Sm 3.60
La (0.1257, 0.3806, 0.7513)  3 La 3.50-3.64, 1 Ac 3.54
La (0.2309, 0.7691, 0.7500)  3 Ac 3.31-3.53, 2 La 3.52, 2 Sm 3.64
La (0.2616, 0.7384, 0.2500)  3 La 3.18-3.50, 2 Sm 3.46
La (0.3806, 0.1257, 0.2513)  3 La 3.50-3.64, 1 Ac 3.54
La (0.4727, 0.5273, 0.2500)  1 La 3.18
La (0.5273, 0.4727, 0.7500)  1 La 3.18
La (0.6194, 0.8743, 0.7487)  3 La 3.50-3.64, 1 Ac 3.54
La (0.7384, 0.2616, 0.7500)  3 La 3.18-3.50, 2 Sm 3.46
La (0.7691, 0.2309, 0.2500)  3 Ac 3.31-3.53, 2 La 3.52, 2 Sm 3.64
La (0.8743, 0.6194, 0.2487)  3 La 3.50-3.64, 1 Ac 3.54
Sm (0.0264, 0.2918, 0.0617)  4 La 3.46-3.66, 3 Ac 3.52-3.80
Sm (0.2918, 0.0264, 0.5617)  4 La 3.46-3.66, 3 Ac 3.52-3.80
Sm (0.7082, 0.9736, 0.4383)  4 La 3.46-3.66, 3 Ac 3.52-3.80
Sm (0.9736, 0.7082, 0.9383)  4 La 3.46-3.66, 3 Ac 3.52-3.80



(3)
DFT (PBE-GGA) results for a relaxed structure of Al3AgGe.

Its distance to the lowest polymorph of the same formula is 0 meV per atom. As for the space group: Pm-3m (221).

Cell: 4.8462 4.8462 4.8462 Å, 90.00 90.00 90.00°
Closest atoms and distances in Å follow each position.
Fractional positions:
Al (0.0000, 0.0000, 0.5000)  2 Ag 2.42
Al (0.0000, 0.5000, 0.0000)  2 Ag 2.42
Al (0.5000, 0.0000, 0.0000)  2 Ag 2.42
Ag (0.0000, 0.0000, 0.0000)  6 Al 2.42
Ge (0.5000, 0.5000, 0.5000)  12 Al 3.43



(4)
DFT (PBE-GGA) results for a relaxed structure of HgMo2IN.

The calculation puts the total energy at -4.099 eV per atom. As for the space group: P4/mmm (123).

Cell: 5.6463 5.6463 4.0271 Å, 90.00 90.00 90.00°
Closest atoms and distances in Å follow each position.
Fractional positions:
Hg (0.0000, 0.0000, 0.0000)  2 N 2.01
Mo (0.0000, 0.5000, 0.0000)  2 Hg 2.82

Not to knock on last year’s team, but they just didn’t have the magic of 2010. Maybe it was the Buster Posey and Freddy Sanchez injuries. Maybe it was Miguel Tejada and Aaron Rowand sucking the life out of the team (and the payroll). Maybe it was Barry Zito, Cody Ross, and Aubrey Huff slumping (more than usual for Zito), or all the camera’s from The Franchise in there all the time.

It wasn’t all bad though. The bright light on a season of disasters was Ryan Vogelsong. This year, he’s proving he’s not a fluke. In fact, there is a good argument he is the ace of the pitching staff this season. And the fact that Vogelsong could be this year’s ace, or that a reasonable arguement could be made for Matt Cain, Barry Zito, or Madison Bumgarner is what gives me hope and makes me feel like the Giants are [thisclose] to turning that proverbial “corner.”

Why am I not there yet? Why are other Giants fans not feeling like we are there — just yet? To answer that, we just have to refer to Sunday’s game against Oakland with our actual pitching ace on the mound. Tim Lincecum is the reason. I’m not jumping on the bandwagon of “he’s lost it,” but I can’t continue to “not worry” like at the beginning of the season. The truth is, Tim Lincecum is the center point of this team. Sure, Buster Posey may be the leader of the team, and Matt Cain may be the horse of our pitching staff, but when your bonafided ace is slumping, it hurts. Losing to Oakland yesterday, in AT&T Park, breaking the streak of home wins against them, with our ace on the mound, hurt. A lot.

## Between two parts of the page: records of crystals
1.
! AlCd2Ir meta-GGA SCAN PBEsol geometry; values from VASP
&SYSTEM
  ibrav = 0, nat = 4, ntyp = 3
/
ATOMIC_SPECIES
Cd 112.41 Cd.upf
Ir 192.22 Ir.upf
Al 26.98 Al.upf
CELL_PARAMETERS angstrom
-0.2348 2.5843 1.4144
-3.0907 1.4700 -3.1582
-1.9910 -3.8514 3.5984
ATOMIC_POSITIONS crystal
Cd 0.0000 0.5000 0.5000
Cd 0.5000 0.0000 0.5000
Ir 0.0000 0.5000 0.0000
Al 0.5000 0.0000 0.0000
! **Crystal system**: monoclinic
! **E_form**: -20 meV/atom

2.
! KAlCd2 meta-GGA SCAN PBEsol geometry; values from VASP
&SYSTEM
  ibrav = 0, nat = 4, ntyp = 3
/
ATOMIC_SPECIES
Al 26.98 Al.upf
Cd 112.41 Cd.upf
K 39.10 K.upf
CELL_PARAMETERS angstrom
3.0198 0.0000 0.0000
0.0000 4.3100 0.0000
0.0000 0.0000 7.8913
ATOMIC_POSITIONS crystal
Al 0.5000 0.5000 0.8204
Cd 0.5000 0.5000 0.1923
Cd 0.0000 0.0000 0.9801
K 0.0000 0.0000 0.5072
! **Crystal system**: orthorhombic
! **E_form**: 78 meV/atom

3.
! KAlCd2 meta-GGA SCAN PBEsol geometry; values from VASP
&SYSTEM
  ibrav = 0, nat = 4, ntyp = 3
/
ATOMIC_SPECIES
Cd 112.41 Cd.upf
K 39.10 K.upf
Al 26.98 Al.upf
CELL_PARAMETERS angstrom
-1.7795 0.0005 -2.3981
-2.4891 -2.0344 3.7058
-2.1479 7.0530 1.5954
ATOMIC_POSITIONS crystal
Cd 0.0017 0.0035 0.0226
Cd 0.2591 0.5182 0.8151
K 0.4974 0.9949 0.4926
Al 0.7418 0.4835 0.1697
! **Crystal system**: monoclinic
! **E_form**: 98 meV/atom

4.
! KAlCd meta-GGA SCAN PBEsol geometry; values from VASP
&SYSTEM
  ibrav = 0, nat = 3, ntyp = 3
/
ATOMIC_SPECIES
Cd 112.41 Cd.upf
K 39.10 K.upf
Al 26.98 Al.upf
CELL_PARAMETERS angstrom
-0.4207 2.6113 1.5690
-3.9298 0.5330 -1.9408
-0.4815 -4.7140 4.7025
ATOMIC_POSITIONS crystal
Cd 0.3795 0.3795 0.7590
K 0.6653 0.6653 0.3305
Al 0.9552 0.9552 0.9104
! **Crystal system**: orthorhombic
! **E_form**: 101 meV/atom

5.
! KAl2Cd meta-GGA SCAN PBEsol geometry; values from VASP
&SYSTEM
  ibrav = 0, nat = 4, ntyp = 3
/
ATOMIC_SPECIES
Al 26.98 Al.upf
K 39.10 K.upf
Cd 112.41 Cd.upf
CELL_PARAMETERS angstrom
-1.0222 -0.3663 -2.7017
-2.6795 -2.7942 1.3926
-5.4050 5.8059 1.2496
ATOMIC_POSITIONS crystal
Al 0.0002 0.0000 0.0732
Al 0.5004 0.5000 0.2303
K 0.4985 0.5000 0.7573
Cd 0.0009 0.0000 0.4391
! **Crystal system**: monoclinic
! **E_form**: 111 meV/atom

6.
! KAlCd2 meta-GGA SCAN PBEsol geometry; values from VASP
&SYSTEM
  ibrav = 0, nat = 4, ntyp = 3
/
ATOMIC_SPECIES
Cd 112.41 Cd.upf
Al 26.98 Al.upf
K 39.10 K.upf
CELL_PARAMETERS angstrom
-1.9814 -0.2129 2.2183
-0.4955 -3.8649 -2.8177
5.3364 -3.1635 4.4627
ATOMIC_POSITIONS crystal
Cd 0.2403 0.4807 0.1835
Cd 0.7597 0.5193 0.8165
Al 0.5000 0.0000 0.0000
K 0.0000 0.0000 0.5000
! **Crystal system**: monoclinic
! **E_form**: 80 meV/atom

no.,total magnetization (μB per formula unit),N(E_F) (states/eV per cell)
1,0.00,1.28
2,0.00,1.40
3,0.00,1.42
4,0.00,1.40
5,0.00,1.70
6,0.00,1.94


Computed, not measured: a geometry-optimized Zr3ZnC2 structure at the PBE level of DFT.

Properties
VASP energy = -8.19 eV per atom

a b c (Å): 3.342 3.342 19.757
angles (deg): 90.00 90.00 120.00
Element x y z (fractional)
C (0.667, 0.333, 0.572)

So what I’m pondering today is whether this team really can turn that corner until Tim Lincecum turns the corner. I think that without Timmy, we can stay competitive. I’m just not sure if we can get the push we really need to start being the team this group of guys has the potential to be. We have the sparks. The three guys in the outfield, Melky Cabrera, Angel Pagan, and Gregor Blanco have given this team a spark we haven’t seen in a couple of years. I’ve said it before and I’ll say it again: Melky Cabrera was hands down the best trade in MLB during the off-season. Without him, I’m afraid we’d be sitting dead last in the NL West. Yet, here we are, on the cusp of coming together. A team of gamers, without a Carlos Beltran or Albert Pujols or Prince Fielder, who have the will and the guts to go out there and win games.

Sure, we have issues with the bat. We did in 2010, too. But, in order for this team to have a good shot at the post-season, we need the Freak back, not the guy we have on the mound doing his best Zito or Jonathan Sanchez impersonation. We need consistency out of Tim. The good news is that the rest of our rotation, including Zito, are pitching like All-Stars, and I think that is what will eventually get Lincecum back. Once we get him back to true form, I’m pretty sure the magic will come alive once again. I’m not promising a World Series, but if and when Timmy is back, I think this team will do special things. Even if he doesn’t make it quiet back to the Cy Young winner of his past, I think we can expect special things out of this team…but we’re not there just yet.